(Brief)
The reader should reproduce all of the entries underneath character by character.

(Excerpt)
~~~
No. 1
Sm3Bi2I2 | PBE-GGA | optimized geometry

## Properties
Raw formation energy in eV per atom: -0.797
Space group: P-1, No. 2

Cell and atoms, written as extended XYZ:
```
7
Lattice="4.5422 0.0000 0.0000 2.2626 7.3990 0.0000 0.0049 1.5897 7.6220" Properties=species:S:1:pos:R:3 pbc="T T T"
Sm 0.0000 0.0000 0.0000
Sm 2.2733 4.6778 5.5502
Sm 4.5364 4.3109 2.0717
Bi 2.2636 6.3455 2.9128
Bi 4.5460 2.6433 4.7092
I 2.2686 2.0638 1.0280
I 4.5410 6.9249 6.5939
```

---

No. 2
PrTlInHg | PBE-GGA | optimized geometry

## Properties
ΔH_f (0 K) in eV per atom: -0.270
Excess energy over the best structure of this formula in the dataset in meV/atom: 104
Space group: F-43m, No. 216

Cell and atoms, written as extended XYZ:
```
4
Lattice="0.0000 3.8044 3.8044 3.8044 0.0000 3.8044 3.8044 3.8044 0.0000" Properties=species:S:1:pos:R:3 pbc="T T T"
Pr 0.0000 0.0000 0.0000
Tl 1.9022 1.9022 1.9022
In 3.8044 3.8044 3.8044
Hg 5.7066 5.7066 5.7066
```

---

No. 3
AcCuAsP | PBE-GGA | optimized geometry

## Properties
ΔH_f (0 K) in eV per atom: -0.755
Space group: Imm2, No. 44

Cell and atoms, written as extended XYZ:
```
4
Lattice="-2.0929 2.1840 4.8114 2.0929 -2.1840 4.8114 2.0929 2.1840 -4.8114" Properties=species:S:1:pos:R:3 pbc="T T T"
Ac 0.0000 0.0000 0.0000
Cu 0.0000 2.1840 2.3074
As 0.0000 0.0000 3.5501
P 0.0000 0.0000 5.9565
```

---

No. 4
TaCrHg3 | PBE-GGA | optimized geometry

## Properties
ΔH_f (0 K) in eV per atom: 1.245
Excess energy over the best structure of this formula in the dataset in meV/atom: 0
Space group: Pm-3m, No. 221

Cell and atoms, written as extended XYZ:
```
5
Lattice="5.3716 0.0000 0.0000 0.0000 5.3716 0.0000 0.0000 0.0000 5.3716" Properties=species:S:1:pos:R:3 pbc="T T T"
Ta 0.0000 0.0000 0.0000
Cr 2.6858 2.6858 2.6858
Hg 0.0000 0.0000 2.6858
Hg 0.0000 2.6858 0.0000
Hg 2.6858 0.0000 0.0000
```

---

No. 5
NdEuMg4 | PBE-GGA | optimized geometry

## Properties
ΔH_f (0 K) in eV per atom: 1.158
Space group: F-43m, No. 216

Cell and atoms, written as extended XYZ:
```
6
Lattice="0.0000 5.5355 5.5355 5.5355 0.0000 5.5355 5.5355 5.5355 0.0000" Properties=species:S:1:pos:R:3 pbc="T T T"
Nd 0.0000 0.0000 0.0000
Eu 8.3032 8.3032 8.3032
Mg 6.5540 4.5169 4.5169
Mg 4.5169 6.5540 4.5169
Mg 4.5169 4.5169 6.5540
Mg 6.5540 6.5540 6.5540
```

---

No. 6
Sn8HgAu6 | PBE-GGA | optimized geometry

## Properties
ΔH_f (0 K) in eV per atom: -0.094
Space group: P-3, No. 147

Cell and atoms, written as extended XYZ:
```
15
Lattice="10.6645 0.0000 0.0000 -5.3322 9.2357 0.0000 0.0000 0.0000 4.3519" Properties=species:S:1:pos:R:3 pbc="T T T"
Sn -1.7544 3.4121 1.0804
Sn 0.0000 6.1572 3.2712
Sn -1.5000 9.0491 1.0804
Sn 2.0778 3.2255 3.2714
Sn 3.2545 6.0103 1.0804
Sn 6.8323 0.1867 3.2714
Sn 5.3323 3.0786 1.0807
Sn 7.0867 5.8236 3.2714
Hg 0.0000 0.0000 0.0000
Au -1.9599 6.2842 1.0958
Au 0.8699 4.3963 1.0958
Au 4.2422 1.4448 3.2561
Au 1.0900 7.7909 1.0958
Au 4.4624 4.8394 3.2561
Au 7.2921 2.9515 3.2561
```

---

No. 7
TiCl3 | PBE-GGA | optimized geometry

## Properties
Raw formation energy in eV per atom: -1.585
Space group: C2/c, No. 15

Cell and atoms, written as extended XYZ:
```
16
Lattice="3.0512 -5.2505 0.0000 3.0512 5.2505 0.0000 -0.2025 0.0000 13.1243" Properties=species:S:1:pos:R:3 pbc="T T T"
Ti 2.8993 5.0892 9.8432
Ti 2.8993 1.7303 9.8432
Ti 3.0005 -1.7303 3.2811
Ti 3.0005 -5.0892 3.2811
Cl 0.9252 1.5701 8.4590
Cl 1.9783 3.4096 11.2985
Cl 1.0264 -1.5701 1.8968
Cl 3.8202 3.4096 8.3880
Cl 1.9246 0.0020 4.6644
Cl 1.8234 -0.0020 11.2266
Cl 4.0765 0.0020 1.8977
Cl 3.9752 -0.0020 8.4599
Cl 2.0796 -3.4096 4.7363
Cl 4.8734 1.5701 11.2275
Cl 3.9215 -3.4096 1.8258
Cl 4.9746 -1.5701 4.6653
```

---

No. 8
KTaCd3 | PBE-GGA | optimized geometry

## Properties
ΔH_f (0 K) in eV per atom: 1.853
Excess energy over the best structure of this formula in the dataset in meV/atom: 1164
Space group: Pm-3m, No. 221

Cell and atoms, written as extended XYZ:
```
5
~~~

(Done)
No. 1
Sm3Bi2I2 | PBE-GGA | optimized geometry

## Properties
Raw formation energy in eV per atom: -0.797
Space group: P-1, No. 2

Cell and atoms, written as extended XYZ:
```
7
Lattice="4.5422 0.0000 0.0000 2.2626 7.3990 0.0000 0.0049 1.5897 7.6220" Properties=species:S:1:pos:R:3 pbc="T T T"
Sm 0.0000 0.0000 0.0000
Sm 2.2733 4.6778 5.5502
Sm 4.5364 4.3109 2.0717
Bi 2.2636 6.3455 2.9128
Bi 4.5460 2.6433 4.7092
I 2.2686 2.0638 1.0280
I 4.5410 6.9249 6.5939
```

---

No. 2
PrTlInHg | PBE-GGA | optimized geometry

## Properties
ΔH_f (0 K) in eV per atom: -0.270
Excess energy over the best structure of this formula in the dataset in meV/atom: 104
Space group: F-43m, No. 216

Cell and atoms, written as extended XYZ:
```
4
Lattice="0.0000 3.8044 3.8044 3.8044 0.0000 3.8044 3.8044 3.8044 0.0000" Properties=species:S:1:pos:R:3 pbc="T T T"
Pr 0.0000 0.0000 0.0000
Tl 1.9022 1.9022 1.9022
In 3.8044 3.8044 3.8044
Hg 5.7066 5.7066 5.7066
```

---

No. 3
AcCuAsP | PBE-GGA | optimized geometry

## Properties
ΔH_f (0 K) in eV per atom: -0.755
Space group: Imm2, No. 44

Cell and atoms, written as extended XYZ:
```
4
Lattice="-2.0929 2.1840 4.8114 2.0929 -2.1840 4.8114 2.0929 2.1840 -4.8114" Properties=species:S:1:pos:R:3 pbc="T T T"
Ac 0.0000 0.0000 0.0000
Cu 0.0000 2.1840 2.3074
As 0.0000 0.0000 3.5501
P 0.0000 0.0000 5.9565
```

---

No. 4
TaCrHg3 | PBE-GGA | optimized geometry

## Properties
ΔH_f (0 K) in eV per atom: 1.245
Excess energy over the best structure of this formula in the dataset in meV/atom: 0
Space group: Pm-3m, No. 221

Cell and atoms, written as extended XYZ:
```
5
Lattice="5.3716 0.0000 0.0000 0.0000 5.3716 0.0000 0.0000 0.0000 5.3716" Properties=species:S:1:pos:R:3 pbc="T T T"
Ta 0.0000 0.0000 0.0000
Cr 2.6858 2.6858 2.6858
Hg 0.0000 0.0000 2.6858
Hg 0.0000 2.6858 0.0000
Hg 2.6858 0.0000 0.0000
```

---

No. 5
NdEuMg4 | PBE-GGA | optimized geometry

## Properties
ΔH_f (0 K) in eV per atom: 1.158
Space group: F-43m, No. 216

Cell and atoms, written as extended XYZ:
```
6
Lattice="0.0000 5.5355 5.5355 5.5355 0.0000 5.5355 5.5355 5.5355 0.0000" Properties=species:S:1:pos:R:3 pbc="T T T"
Nd 0.0000 0.0000 0.0000
Eu 8.3032 8.3032 8.3032
Mg 6.5540 4.5169 4.5169
Mg 4.5169 6.5540 4.5169
Mg 4.5169 4.5169 6.5540
Mg 6.5540 6.5540 6.5540
```

---

No. 6
Sn8HgAu6 | PBE-GGA | optimized geometry

## Properties
ΔH_f (0 K) in eV per atom: -0.094
Space group: P-3, No. 147

Cell and atoms, written as extended XYZ:
```
15
Lattice="10.6645 0.0000 0.0000 -5.3322 9.2357 0.0000 0.0000 0.0000 4.3519" Properties=species:S:1:pos:R:3 pbc="T T T"
Sn -1.7544 3.4121 1.0804
Sn 0.0000 6.1572 3.2712
Sn -1.5000 9.0491 1.0804
Sn 2.0778 3.2255 3.2714
Sn 3.2545 6.0103 1.0804
Sn 6.8323 0.1867 3.2714
Sn 5.3323 3.0786 1.0807
Sn 7.0867 5.8236 3.2714
Hg 0.0000 0.0000 0.0000
Au -1.9599 6.2842 1.0958
Au 0.8699 4.3963 1.0958
Au 4.2422 1.4448 3.2561
Au 1.0900 7.7909 1.0958
Au 4.4624 4.8394 3.2561
Au 7.2921 2.9515 3.2561
```

---

No. 7
TiCl3 | PBE-GGA | optimized geometry

## Properties
Raw formation energy in eV per atom: -1.585
Space group: C2/c, No. 15

Cell and atoms, written as extended XYZ:
```
16
Lattice="3.0512 -5.2505 0.0000 3.0512 5.2505 0.0000 -0.2025 0.0000 13.1243" Properties=species:S:1:pos:R:3 pbc="T T T"
Ti 2.8993 5.0892 9.8432
Ti 2.8993 1.7303 9.8432
Ti 3.0005 -1.7303 3.2811
Ti 3.0005 -5.0892 3.2811
Cl 0.9252 1.5701 8.4590
Cl 1.9783 3.4096 11.2985
Cl 1.0264 -1.5701 1.8968
Cl 3.8202 3.4096 8.3880
Cl 1.9246 0.0020 4.6644
Cl 1.8234 -0.0020 11.2266
Cl 4.0765 0.0020 1.8977
Cl 3.9752 -0.0020 8.4599
Cl 2.0796 -3.4096 4.7363
Cl 4.8734 1.5701 11.2275
Cl 3.9215 -3.4096 1.8258
Cl 4.9746 -1.5701 4.6653
```

---

No. 8
KTaCd3 | PBE-GGA | optimized geometry

## Properties
ΔH_f (0 K) in eV per atom: 1.853
Excess energy over the best structure of this formula in the dataset in meV/atom: 1164
Space group: Pm-3m, No. 221

Cell and atoms, written as extended XYZ:
```
5